
Are uniforms really necessary in Aussie schools?

# Between two parts of the page: records of crystals
=====
Model one:
First-principles (GGA-PBE) data for crystalline Cu2MoRu2 at its relaxed geometry, as listed in Alexandria.

Properties
Space-group type: No. 127
Spin magnetization, μB/atom: 0.000

a = 6.982 Å, b = 6.982 Å, c = 2.877 Å
α = 90.00°, β = 90.00°, γ = 90.00°
Fractional coordinates of all 10 atoms:
Cu1 0.169 0.331 0.000
Cu2 0.331 0.831 0.000
Cu3 0.669 0.169 0.000
Cu4 0.831 0.669 0.000
Mo1 0.000 0.000 0.500
Mo2 0.500 0.500 0.500
Ru1 0.128 0.628 0.500
Ru2 0.372 0.128 0.500
Ru3 0.628 0.872 0.500
Ru4 0.872 0.372 0.500



Model two:
First-principles (GGA-PBE) data for crystalline Cu2MoRu2 at its relaxed geometry, as listed in Alexandria.

Properties
Space-group type: No. 139
Spin magnetization, μB/atom: 0.000

a = 7.437 Å, b = 7.437 Å, c = 7.437 Å
α = 155.13°, β = 155.13°, γ = 35.46°
Fractional coordinates of all 5 atoms:
Cu1 0.250 0.750 0.500
Cu2 0.750 0.250 0.500
Mo1 0.000 0.000 0.000
Ru1 0.401 0.401 0.000
Ru2 0.599 0.599 0.000



Relative calculated energies, zero for the most stable structure, unit kJ/mol of atoms: model one 3.5; model two 0.0.



Model one:
First-principles (GGA-PBE) data for crystalline CuMoRu3 at its relaxed geometry, as listed in Alexandria.

Properties
Space-group type: No. 221
Spin magnetization, μB/atom: 0.000

a = 4.362 Å, b = 4.362 Å, c = 4.362 Å
α = 90.00°, β = 90.00°, γ = 90.00°
Fractional coordinates of all 5 atoms:
Cu1 0.000 0.000 0.000
Mo1 0.500 0.500 0.500
Ru1 0.000 0.000 0.500
Ru2 0.000 0.500 0.000
Ru3 0.500 0.000 0.000



Model two:
First-principles (GGA-PBE) data for crystalline CuMoRu3 at its relaxed geometry, as listed in Alexandria.

Properties
Space-group type: No. 221
Spin magnetization, μB/atom: 0.484

a = 4.643 Å, b = 4.643 Å, c = 4.643 Å
α = 90.00°, β = 90.00°, γ = 90.00°
Fractional coordinates of all 5 atoms:
Cu1 0.000 0.000 0.000
Mo1 0.500 0.500 0.500
Ru1 0.000 0.500 0.500
Ru2 0.500 0.000 0.500
Ru3 0.500 0.500 0.000



Relative calculated energies, zero for the most stable structure, unit kJ/mol of atoms: model one 0.0; model two 9.9.



Model one:
First-principles (GGA-PBE) data for crystalline CuMoS2 at its relaxed geometry, as listed in Alexandria.

Properties
Space-group type: No. 225
Spin magnetization, μB/atom: 0.245

a = 4.293 Å, b = 4.293 Å, c = 4.293 Å
α = 60.00°, β = 60.00°, γ = 60.00°
Fractional coordinates of all 4 atoms:
Cu1 0.000 0.000 0.000
Mo1 0.500 0.500 0.500
S1 0.250 0.250 0.250
S2 0.750 0.750 0.750



Model two:
First-principles (GGA-PBE) data for crystalline CuMoS2 at its relaxed geometry, as listed in Alexandria.

Properties
Space-group type: No. 166
Spin magnetization, μB/atom: 0.000

a = 7.741 Å, b = 7.741 Å, c = 7.741 Å
α = 24.04°, β = 24.04°, γ = 24.04°
Fractional coordinates of all 4 atoms:
Cu1 0.000 0.000 0.000
Mo1 0.500 0.500 0.500
S1 0.097 0.097 0.097
S2 0.903 0.903 0.903



Model three:
First-principles (GGA-PBE) data for crystalline CuMoS2 at its relaxed geometry, as listed in Alexandria.

Properties
Space-group type: No. 122
Spin magnetization, μB/atom: 0.252
=====

If you attended a typical Australian school, you will have had the unfortunate experience of wearing a school uniform. The severity of said uniform would depend on whether you attended a private or public school – private school seem to take their uniforms VERY seriously.

I attended a public school for both primary and high school, and my relationship with my school uniform was complex, to say the least. Ever since primary school I’ve had an issue with being put in a uniform. I used to wear bright yellow or pink coloured jumpers over the uniform, and orange pants under my uniform dress because I grew up in Victoria and I was cold! Then I moved to NSW to attend high school and I became even more rebellious and neglected my uniform altogether. I figured they couldn’t force me into the uniform I hated, and they couldn’t expel me from a public school for that reason.

I was constantly in trouble for ignoring the dress code, but I honestly did not care. Uniform, in my opinion, is an attack on freedom of expression. This is especially true in high schools; adolescents are trying to find out who they are and should be able to express themselves through their fashion choices.

britney spears GIF uniform
via Giphy

Teachers and boring people will tell you that uniforms are there to provide structure to children or to prevent bullying and make everyone look the same, or to instil some sense of pride in their schools.

I’m extremely biased on this topic but let’s dig deeper into some of these claims and see if uniforms really are warranted in Australian schools.

Let’s start with the bullying claim. I did get bullied when I was wearing a uniform. In my first high school, I was too skinny to fit into the uniform’s smallest size. I had to use a hair tie to bunch up the shirts and skirts so that I didn’t look like I was swimming in my clothes. In my second school, my bust was too big for the uniform and my buttons kept popping off, which was embarrassing. I also got bullied as people noticed in senior years, I was still wearing junior colours because my parents couldn’t afford new uniforms. I also got bullied because I preferred the boy’s uniform. It was far comfier!

aqui estoy the kid who would be king GIF by 20th Century Fox uniform
via Giphy

Some students do believe that wearing a uniform prevents bullying, by putting everyone on the same playing field. I understand that uniforms can reduce bullying in some circumstances – for instance, some kids can afford brand clothes, while others will wear handmade or second-hand clothes. However, I strongly feel that bullies will always find a way. For instance, backpacks, pencil cases etc – my family couldn’t afford brands like Roxy or Billabong and no one was shy about pointing out I had a Kmart bag and pencil case. I suppose it depends on how supportive the school environment is and how little they tolerate bullying between students, and the nature of the students themselves.

Next comes the idea that uniforms create a sense of pride and social cohesion. This is an idea that many child psychologists stand behind. Uniforms are also supposedly a way to increase levels of belonging between student cohorts, as well as foster school spirit. Again, I feel this depends on the school and the kind of value it places on its students. It shouldn’t depend on a uniform.

harry potter photos GIF uniform spirit
via Giphy

Some other reasons that uniform is seen as a positive include decreasing the pressure to be ‘trendy’ and increasing the safety of students through making them easily identifiable in a crisis. I’d counter that because if there is a predator around, wearing a school uniform scream to them “I WILL BE AT “XYZ PUBLIC SCHOOL FROM 9 AM UNTIL 3:30 PM, COME KIDNAP ME”. Another reason is the morally ambiguous policing of people’s bodies – uniforms make life easier for teachers who don’t have to decide what skirts are too short, or who is showing too much skin – here’s an idea: let people make those decisions for themselves.

I firmly believe that being able to dress in your own clothes and not a uniform instils a sense of self, independence and a way to express yourself. However, at the end of the day, there is scientific evidence that supports both wearing uniforms and not wearing uniforms. I think that you should be able to operate a sense of agency and choose for yourself whether you want to wear a uniform or your clothes.